Input:
........
one | Mn2Cu2Rh: relaxed, PBE-GGA.

a b c (Å): 6.669 6.669 2.821
angles (deg): 90.00 90.00 90.00
Atoms (fractional coordinates):
1 Mn 0.398 0.898 0.000
2 Mn 0.898 0.602 0.000
3 Mn 0.602 0.102 0.000
4 Mn 0.102 0.398 0.000
5 Rh 0.000 0.000 0.000
6 Rh 0.500 0.500 0.000
7 Cu 0.191 0.691 0.500
8 Cu 0.691 0.809 0.500
9 Cu 0.809 0.309 0.500
10 Cu 0.309 0.191 0.500

Calculated values
Crystal system: tetragonal
Size of the total moment in μB per atom: 0.000
Symmetry: No. 127

***

two | Mn2Cu2Rh: relaxed, PBE-GGA.

a b c (Å): 3.165 3.165 6.818
angles (deg): 76.58 76.58 90.00
Atoms (fractional coordinates):
1 Mn 0.750 0.250 0.500
2 Mn 0.250 0.750 0.500
3 Rh 0.000 0.000 0.000
4 Cu 0.399 0.399 0.201
5 Cu 0.601 0.601 0.799

Calculated values
Crystal system: tetragonal
Size of the total moment in μB per atom: 0.000
Symmetry: No. 139

***

Stability check: which of them is least stable? two.

***

one | Mn2Cu2Rh: relaxed, PBE-GGA.

a b c (Å): 3.267 3.267 7.386
angles (deg): 77.22 77.22 90.00
Atoms (fractional coordinates):
1 Mn 0.399 0.399 0.202
2 Mn 0.601 0.601 0.798
3 Rh 0.000 0.000 0.000
4 Cu 0.750 0.250 0.500
5 Cu 0.250 0.750 0.500

Calculated values
Crystal system: tetragonal
Size of the total moment in μB per atom: 1.844
Symmetry: No. 139

***

two | Mn2Cu2Rh: relaxed, PBE-GGA.

a b c (Å): 6.755 6.755 2.679
angles (deg): 90.00 90.00 90.00
Atoms (fractional coordinates):
1 Mn 0.170 0.670 0.500
2 Mn 0.670 0.830 0.500
3 Mn 0.830 0.330 0.500
4 Mn 0.330 0.170 0.500
5 Rh 0.000 0.000 0.000
6 Rh 0.500 0.500 0.000
7 Cu 0.372 0.872 0.000
8 Cu 0.872 0.628 0.000
9 Cu 0.628 0.128 0.000
10 Cu 0.128 0.372 0.000

Calculated values
Crystal system: tetragonal
Size of the total moment in μB per atom: 0.001
Symmetry: No. 127

***

Stability check: which of them is least stable? two.

***

one | MnCuRu: relaxed, PBE-GGA.

a b c (Å): 2.700 3.813 12.427
angles (deg): 117.36 115.72 45.07
Atoms (fractional coordinates):
1 Cu 0.113 0.498 0.139
2 Cu 0.267 0.153 0.294
3 Mn 0.431 0.818 0.458
4 Mn 0.949 0.833 0.975
5 Ru 0.603 0.490 0.631
6 Ru 0.776 0.161 0.802

Calculated values
Crystal system: monoclinic
Size of the total moment in μB per atom: 1.067
Symmetry: No. 12

***

two | MnCuRu: relaxed, PBE-GGA.

a b c (Å): 3.948 3.948 3.948
angles (deg): 60.00 60.00 60.00
Atoms (fractional coordinates):
1 Cu 0.500 0.500 0.500
2 Mn 0.750 0.750 0.750
3 Ru 0.000 0.000 0.000

Calculated values
Crystal system: cubic
Size of the total moment in μB per atom: 0.564
Symmetry: No. 216

***

three | MnCuRu: relaxed, PBE-GGA.

a b c (Å): 4.527 4.527 4.527
angles (deg): 144.64 134.02 59.31
Atoms (fractional coordinates):
1 Cu 0.999 0.999 0.000
2 Mn 0.331 0.331 0.000
3 Ru 0.671 0.671 0.000

Calculated values
Crystal system: orthorhombic
Size of the total moment in μB per atom: 0.593
Symmetry: No. 44

***

four | MnCuRu: relaxed, PBE-GGA.

a b c (Å): 5.716 5.716 2.665
angles (deg): 76.52 76.52 26.96
Atoms (fractional coordinates):
1 Cu 0.996 0.996 0.004
2 Mn 0.330 0.330 0.670
3 Ru 0.674 0.674 0.326

Calculated values
........

What to do:
Echo the whole of the block above without additions.

Reply:
one | Mn2Cu2Rh: relaxed, PBE-GGA.

a b c (Å): 6.669 6.669 2.821
angles (deg): 90.00 90.00 90.00
Atoms (fractional coordinates):
1 Mn 0.398 0.898 0.000
2 Mn 0.898 0.602 0.000
3 Mn 0.602 0.102 0.000
4 Mn 0.102 0.398 0.000
5 Rh 0.000 0.000 0.000
6 Rh 0.500 0.500 0.000
7 Cu 0.191 0.691 0.500
8 Cu 0.691 0.809 0.500
9 Cu 0.809 0.309 0.500
10 Cu 0.309 0.191 0.500

Calculated values
Crystal system: tetragonal
Size of the total moment in μB per atom: 0.000
Symmetry: No. 127

***

two | Mn2Cu2Rh: relaxed, PBE-GGA.

a b c (Å): 3.165 3.165 6.818
angles (deg): 76.58 76.58 90.00
Atoms (fractional coordinates):
1 Mn 0.750 0.250 0.500
2 Mn 0.250 0.750 0.500
3 Rh 0.000 0.000 0.000
4 Cu 0.399 0.399 0.201
5 Cu 0.601 0.601 0.799

Calculated values
Crystal system: tetragonal
Size of the total moment in μB per atom: 0.000
Symmetry: No. 139

***

Stability check: which of them is least stable? two.

***

one | Mn2Cu2Rh: relaxed, PBE-GGA.

a b c (Å): 3.267 3.267 7.386
angles (deg): 77.22 77.22 90.00
Atoms (fractional coordinates):
1 Mn 0.399 0.399 0.202
2 Mn 0.601 0.601 0.798
3 Rh 0.000 0.000 0.000
4 Cu 0.750 0.250 0.500
5 Cu 0.250 0.750 0.500

Calculated values
Crystal system: tetragonal
Size of the total moment in μB per atom: 1.844
Symmetry: No. 139

***

two | Mn2Cu2Rh: relaxed, PBE-GGA.

a b c (Å): 6.755 6.755 2.679
angles (deg): 90.00 90.00 90.00
Atoms (fractional coordinates):
1 Mn 0.170 0.670 0.500
2 Mn 0.670 0.830 0.500
3 Mn 0.830 0.330 0.500
4 Mn 0.330 0.170 0.500
5 Rh 0.000 0.000 0.000
6 Rh 0.500 0.500 0.000
7 Cu 0.372 0.872 0.000
8 Cu 0.872 0.628 0.000
9 Cu 0.628 0.128 0.000
10 Cu 0.128 0.372 0.000

Calculated values
Crystal system: tetragonal
Size of the total moment in μB per atom: 0.001
Symmetry: No. 127

***

Stability check: which of them is least stable? two.

***

one | MnCuRu: relaxed, PBE-GGA.

a b c (Å): 2.700 3.813 12.427
angles (deg): 117.36 115.72 45.07
Atoms (fractional coordinates):
1 Cu 0.113 0.498 0.139
2 Cu 0.267 0.153 0.294
3 Mn 0.431 0.818 0.458
4 Mn 0.949 0.833 0.975
5 Ru 0.603 0.490 0.631
6 Ru 0.776 0.161 0.802

Calculated values
Crystal system: monoclinic
Size of the total moment in μB per atom: 1.067
Symmetry: No. 12

***

two | MnCuRu: relaxed, PBE-GGA.

a b c (Å): 3.948 3.948 3.948
angles (deg): 60.00 60.00 60.00
Atoms (fractional coordinates):
1 Cu 0.500 0.500 0.500
2 Mn 0.750 0.750 0.750
3 Ru 0.000 0.000 0.000

Calculated values
Crystal system: cubic
Size of the total moment in μB per atom: 0.564
Symmetry: No. 216

***

three | MnCuRu: relaxed, PBE-GGA.

a b c (Å): 4.527 4.527 4.527
angles (deg): 144.64 134.02 59.31
Atoms (fractional coordinates):
1 Cu 0.999 0.999 0.000
2 Mn 0.331 0.331 0.000
3 Ru 0.671 0.671 0.000

Calculated values
Crystal system: orthorhombic
Size of the total moment in μB per atom: 0.593
Symmetry: No. 44

***

four | MnCuRu: relaxed, PBE-GGA.

a b c (Å): 5.716 5.716 2.665
angles (deg): 76.52 76.52 26.96
Atoms (fractional coordinates):
1 Cu 0.996 0.996 0.004
2 Mn 0.330 0.330 0.670
3 Ru 0.674 0.674 0.326

Calculated values